=====
Entry 1:
First-principles (SCAN) data for a PBEsol-optimized structure of LaTl2, as listed in Alexandria.

abc: 5.1728 5.1728 3.6401
angles: 90.00 90.00 120.00
With the nearest neighbours (Å) after each atom.
Space group P6/mmm (No. 191)
Symmetry-distinct sites (fractional):
La: 0.0000 0.0000 0.0000 [1 per cell]  12 Tl 3.50, 2 La 3.64
Tl: 0.3333 0.6667 0.5000 [2 per cell]  3 Tl 2.99

Values from the calculation:
Its energy relative to the elements is -466 meV/atom. The total energy is -189.22 eV/cell. The volume comes out at 28.12 Å³/atom.

---

Entry 2:
First-principles (SCAN) data for a PBEsol-optimized structure of Y2CuSe, as listed in Alexandria.

abc: 3.9001 3.9001 20.7909
angles: 90.00 90.00 120.00
With the nearest neighbours (Å) after each atom.
Space group R-3m (No. 166, hexagonal axes)
Symmetry-distinct sites (fractional):
Y: 0.0000 0.0000 0.2487 [6 per cell]  3 Cu 2.82, 3 Se 2.86
Cu: 0.0000 0.0000 0.5000 [3 per cell]  6 Y 2.82
Se: 0.0000 0.0000 0.0000 [3 per cell]  6 Y 2.86

Values from the calculation:
The total energy is -286.00 eV/cell. The volume comes out at 22.82 Å³/atom. For the excess energy over the best structure of this formula in the dataset, the calculation gives 0 kJ/mol of formula units.

---
=====
It remains to search the contents further up for the word "cell" and echo each line that has it.
La: 0.0000 0.0000 0.0000 [1 per cell]  12 Tl 3.50, 2 La 3.64
Tl: 0.3333 0.6667 0.5000 [2 per cell]  3 Tl 2.99
Its energy relative to the elements is -466 meV/atom. The total energy is -189.22 eV/cell. The volume comes out at 28.12 Å³/atom.
Y: 0.0000 0.0000 0.2487 [6 per cell]  3 Cu 2.82, 3 Se 2.86
Cu: 0.0000 0.0000 0.5000 [3 per cell]  6 Y 2.82
Se: 0.0000 0.0000 0.0000 [3 per cell]  6 Y 2.86
The total energy is -286.00 eV/cell. The volume comes out at 22.82 Å³/atom. For the excess energy over the best structure of this formula in the dataset, the calculation gives 0 kJ/mol of formula units.